Work order
Your job: restate everything further below unchanged.

Contents
~~~
# 1
Simulated powder X-ray diffraction pattern
Compound: TlFe2Te
Radiation: CuKα
Structure: a DFT-relaxed cell (PBE, Alexandria)
Lines closer than 0.1° are merged.

Unit cell a=3.180 b=3.224 c=7.909 alpha=90.00 beta=90.00 gamma=90.00
Atoms (fractional coordinates):
1 Tl 0.000 0.000 0.000
2 Fe 0.000 0.000 0.613
3 Fe 0.500 0.500 0.761
4 Te 0.500 0.500 0.419

Main lines, by angle (2θ from 10° to 90°):
2θ 22.48, rel. 54
2θ 29.93, rel. 75
2θ 30.29, rel. 73
2θ 35.94, rel. 48
2θ 36.25, rel. 47
2θ 39.82, rel. 100
2θ 44.39, rel. 43
2θ 44.65, rel. 42
2θ 46.21, rel. 34
2θ 53.34, rel. 28

=====

# 2
Simulated powder X-ray diffraction pattern
Compound: SrCaDy4Be2O10
Radiation: CuKα
Structure: a DFT-relaxed cell (PBE, Alexandria)
Lines closer than 0.1° are merged.

Unit cell a=6.399 b=7.039 c=9.351 alpha=90.00 beta=90.36 gamma=90.00
Atoms (fractional coordinates):
1 Sr 0.080 0.000 0.325
2 Sr 0.920 0.500 0.675
3 Ca 0.416 0.994 0.823
4 Ca 0.584 0.494 0.177
5 Dy 0.073 0.458 0.320
6 Dy 0.096 0.733 0.020
7 Dy 0.406 0.732 0.521
8 Dy 0.435 0.443 0.832
9 Dy 0.565 0.943 0.168
10 Dy 0.594 0.232 0.479
11 Dy 0.904 0.233 0.980
12 Dy 0.927 0.958 0.680
13 Be 0.198 0.228 0.605
14 Be 0.310 0.232 0.100
15 Be 0.690 0.732 0.900
16 Be 0.802 0.728 0.395
17 O 0.022 0.730 0.489
18 O 0.139 0.218 0.782
19 O 0.158 0.749 0.782
20 O 0.184 0.424 0.062
21 O 0.201 0.031 0.070
22 O 0.315 0.034 0.568
23 O 0.325 0.425 0.583
24 O 0.337 0.721 0.276
25 O 0.367 0.243 0.278
26 O 0.474 0.726 0.991
27 O 0.526 0.226 0.009
28 O 0.633 0.743 0.722
29 O 0.663 0.221 0.724
30 O 0.675 0.925 0.417
31 O 0.685 0.534 0.432
32 O 0.799 0.531 0.930
33 O 0.816 0.924 0.938
34 O 0.842 0.249 0.218
35 O 0.861 0.718 0.218
36 O 0.978 0.230 0.511

Main lines, by angle (2θ from 10° to 90°):
2θ 21.04, rel. 32
2θ 30.53, rel. 81
2θ 31.84, rel. 100
2θ 32.02, rel. 45
2θ 32.13, rel. 21
2θ 32.24, rel. 24
2θ 39.26, rel. 32
2θ 40.99, rel. 22
2θ 46.65, rel. 24
2θ 58.45, rel. 23

=====

# 3
Simulated powder X-ray diffraction pattern
Compound: BaTl2Cu2
Radiation: CuKα
Structure: a DFT-relaxed cell (PBE, Alexandria)
Lines closer than 0.1° are merged.

Unit cell a=6.367 b=6.367 c=6.367 alpha=134.01 beta=134.01 gamma=67.07
Atoms (fractional coordinates):
1 Ba 0.000 0.000 0.000
2 Tl 0.353 0.353 0.000
3 Tl 0.647 0.647 0.000
4 Cu 0.250 0.750 0.500
5 Cu 0.750 0.250 0.500

Main lines, by angle (2θ from 10° to 90°):
2θ 25.32, rel. 50
2θ 31.02, rel. 100
2θ 36.11, rel. 59
2θ 42.68, rel. 20
2θ 48.33, rel. 59
2θ 52.00, rel. 21
2θ 58.39, rel. 21
2θ 61.79, rel. 14
2θ 73.71, rel. 17
2θ 81.96, rel. 16


# 1
For Na3SbOs, a crystal structure in Alexandria, relaxed with PBE gives the calculated X-ray diffraction stick pattern in this record (copper Kα).

Principal peaks in the range 10° ≤ 2θ ≤ 90°, by angle:
2θ/deg	I_rel
21.63	100
30.77	38
37.92	48
44.07	28
49.61	22
54.71	10
59.52	26
68.50	13
72.78	12
85.13	15

Structure:
a = 5.8114 Å, b = 5.8114 Å, c = 5.8114 Å
α = 90.00°, β = 90.00°, γ = 90.00°
Element x y z (fractional)
Na1 0.0000 0.0000 0.5000
Na2 0.0000 0.5000 0.0000
Na3 0.5000 0.0000 0.0000
Sb1 0.0000 0.0000 0.0000
Os1 0.5000 0.5000 0.5000

# 2
For NaTiOs2, a crystal structure in Alexandria, relaxed with PBE gives the calculated X-ray diffraction stick pattern in this record (copper Kα).

Principal peaks in the range 10° ≤ 2θ ≤ 90°, by angle:
2θ/deg	I_rel
24.70	1
28.60	59
40.89	100
50.66	17
59.21	17
67.05	23
74.46	34
88.63	11

Structure:
a = 4.4139 Å, b = 4.4139 Å, c = 4.4139 Å
α = 60.00°, β = 60.00°, γ = 60.00°
Element x y z (fractional)
Na1 0.0000 0.0000 0.0000
Ti1 0.5000 0.5000 0.5000
Os1 0.2500 0.2500 0.2500
Os2 0.7500 0.7500 0.7500

# 3
For Na2TlOs, a crystal structure in Alexandria, relaxed with PBE gives the calculated X-ray diffraction stick pattern in this record (copper Kα).

Principal peaks in the range 10° ≤ 2θ ≤ 90°, by angle:
2θ/deg	I_rel
21.26	100
30.25	70
36.37	70
43.31	27
48.01	64
48.73	24
57.80	19
66.62	24
74.89	17
89.05	14

Structure:
a = 6.5051 Å, b = 6.5051 Å, c = 6.5051 Å
~~~

Solution
# 1
Simulated powder X-ray diffraction pattern
Compound: TlFe2Te
Radiation: CuKα
Structure: a DFT-relaxed cell (PBE, Alexandria)
Lines closer than 0.1° are merged.

Unit cell a=3.180 b=3.224 c=7.909 alpha=90.00 beta=90.00 gamma=90.00
Atoms (fractional coordinates):
1 Tl 0.000 0.000 0.000
2 Fe 0.000 0.000 0.613
3 Fe 0.500 0.500 0.761
4 Te 0.500 0.500 0.419

Main lines, by angle (2θ from 10° to 90°):
2θ 22.48, rel. 54
2θ 29.93, rel. 75
2θ 30.29, rel. 73
2θ 35.94, rel. 48
2θ 36.25, rel. 47
2θ 39.82, rel. 100
2θ 44.39, rel. 43
2θ 44.65, rel. 42
2θ 46.21, rel. 34
2θ 53.34, rel. 28

=====

# 2
Simulated powder X-ray diffraction pattern
Compound: SrCaDy4Be2O10
Radiation: CuKα
Structure: a DFT-relaxed cell (PBE, Alexandria)
Lines closer than 0.1° are merged.

Unit cell a=6.399 b=7.039 c=9.351 alpha=90.00 beta=90.36 gamma=90.00
Atoms (fractional coordinates):
1 Sr 0.080 0.000 0.325
2 Sr 0.920 0.500 0.675
3 Ca 0.416 0.994 0.823
4 Ca 0.584 0.494 0.177
5 Dy 0.073 0.458 0.320
6 Dy 0.096 0.733 0.020
7 Dy 0.406 0.732 0.521
8 Dy 0.435 0.443 0.832
9 Dy 0.565 0.943 0.168
10 Dy 0.594 0.232 0.479
11 Dy 0.904 0.233 0.980
12 Dy 0.927 0.958 0.680
13 Be 0.198 0.228 0.605
14 Be 0.310 0.232 0.100
15 Be 0.690 0.732 0.900
16 Be 0.802 0.728 0.395
17 O 0.022 0.730 0.489
18 O 0.139 0.218 0.782
19 O 0.158 0.749 0.782
20 O 0.184 0.424 0.062
21 O 0.201 0.031 0.070
22 O 0.315 0.034 0.568
23 O 0.325 0.425 0.583
24 O 0.337 0.721 0.276
25 O 0.367 0.243 0.278
26 O 0.474 0.726 0.991
27 O 0.526 0.226 0.009
28 O 0.633 0.743 0.722
29 O 0.663 0.221 0.724
30 O 0.675 0.925 0.417
31 O 0.685 0.534 0.432
32 O 0.799 0.531 0.930
33 O 0.816 0.924 0.938
34 O 0.842 0.249 0.218
35 O 0.861 0.718 0.218
36 O 0.978 0.230 0.511

Main lines, by angle (2θ from 10° to 90°):
2θ 21.04, rel. 32
2θ 30.53, rel. 81
2θ 31.84, rel. 100
2θ 32.02, rel. 45
2θ 32.13, rel. 21
2θ 32.24, rel. 24
2θ 39.26, rel. 32
2θ 40.99, rel. 22
2θ 46.65, rel. 24
2θ 58.45, rel. 23

=====

# 3
Simulated powder X-ray diffraction pattern
Compound: BaTl2Cu2
Radiation: CuKα
Structure: a DFT-relaxed cell (PBE, Alexandria)
Lines closer than 0.1° are merged.

Unit cell a=6.367 b=6.367 c=6.367 alpha=134.01 beta=134.01 gamma=67.07
Atoms (fractional coordinates):
1 Ba 0.000 0.000 0.000
2 Tl 0.353 0.353 0.000
3 Tl 0.647 0.647 0.000
4 Cu 0.250 0.750 0.500
5 Cu 0.750 0.250 0.500

Main lines, by angle (2θ from 10° to 90°):
2θ 25.32, rel. 50
2θ 31.02, rel. 100
2θ 36.11, rel. 59
2θ 42.68, rel. 20
2θ 48.33, rel. 59
2θ 52.00, rel. 21
2θ 58.39, rel. 21
2θ 61.79, rel. 14
2θ 73.71, rel. 17
2θ 81.96, rel. 16


# 1
For Na3SbOs, a crystal structure in Alexandria, relaxed with PBE gives the calculated X-ray diffraction stick pattern in this record (copper Kα).

Principal peaks in the range 10° ≤ 2θ ≤ 90°, by angle:
2θ/deg	I_rel
21.63	100
30.77	38
37.92	48
44.07	28
49.61	22
54.71	10
59.52	26
68.50	13
72.78	12
85.13	15

Structure:
a = 5.8114 Å, b = 5.8114 Å, c = 5.8114 Å
α = 90.00°, β = 90.00°, γ = 90.00°
Element x y z (fractional)
Na1 0.0000 0.0000 0.5000
Na2 0.0000 0.5000 0.0000
Na3 0.5000 0.0000 0.0000
Sb1 0.0000 0.0000 0.0000
Os1 0.5000 0.5000 0.5000

# 2
For NaTiOs2, a crystal structure in Alexandria, relaxed with PBE gives the calculated X-ray diffraction stick pattern in this record (copper Kα).

Principal peaks in the range 10° ≤ 2θ ≤ 90°, by angle:
2θ/deg	I_rel
24.70	1
28.60	59
40.89	100
50.66	17
59.21	17
67.05	23
74.46	34
88.63	11

Structure:
a = 4.4139 Å, b = 4.4139 Å, c = 4.4139 Å
α = 60.00°, β = 60.00°, γ = 60.00°
Element x y z (fractional)
Na1 0.0000 0.0000 0.0000
Ti1 0.5000 0.5000 0.5000
Os1 0.2500 0.2500 0.2500
Os2 0.7500 0.7500 0.7500

# 3
For Na2TlOs, a crystal structure in Alexandria, relaxed with PBE gives the calculated X-ray diffraction stick pattern in this record (copper Kα).

Principal peaks in the range 10° ≤ 2θ ≤ 90°, by angle:
2θ/deg	I_rel
21.26	100
30.25	70
36.37	70
43.31	27
48.01	64
48.73	24
57.80	19
66.62	24
74.89	17
89.05	14

Structure:
a = 6.5051 Å, b = 6.5051 Å, c = 6.5051 Å